Wanted >
Count the lines further down that contain the word "Sb" and give the number alone.

Entries >
+++
# 1
DFT (r2SCAN) results for an optimized crystal structure of EuSO4.

Computed properties:
E_form: -2.380 eV/atom
energy: -14.12 eV per atom
SG: Pnma, No. 62

```
data_EuSO4
_chemical_formula_sum 'Eu4 S4 O16'
_cell_length_a 8.341
_cell_length_b 5.341
_cell_length_c 6.866
_cell_angle_alpha 90.00
_cell_angle_beta 90.00
_cell_angle_gamma 90.00
_symmetry_space_group_name_H-M 'P 1'
_symmetry_Int_Tables_number 1
loop_
_symmetry_equiv_pos_as_xyz
'x,y,z'
loop_
_atom_site_label
_atom_site_type_symbol
_atom_site_fract_x
_atom_site_fract_y
_atom_site_fract_z
Eu1 Eu 0.184 0.250 0.157
Eu2 Eu 0.316 0.750 0.657
Eu3 Eu 0.684 0.250 0.343
Eu4 Eu 0.816 0.750 0.843
S1 S 0.063 0.250 0.684
S2 S 0.437 0.750 0.184
S3 S 0.563 0.250 0.816
S4 S 0.937 0.750 0.316
O1 O 0.078 0.025 0.811
O2 O 0.078 0.475 0.811
O3 O 0.094 0.750 0.409
O4 O 0.195 0.250 0.542
O5 O 0.305 0.750 0.042
O6 O 0.406 0.250 0.909
O7 O 0.422 0.525 0.311
O8 O 0.422 0.975 0.311
O9 O 0.578 0.025 0.689
O10 O 0.578 0.475 0.689
O11 O 0.594 0.750 0.091
O12 O 0.695 0.250 0.958
O13 O 0.805 0.750 0.458
O14 O 0.906 0.250 0.591
O15 O 0.922 0.525 0.189
O16 O 0.922 0.975 0.189
```


# 2
DFT (r2SCAN) results for an optimized crystal structure of Eu2SO2.

Computed properties:
E_form: -2.754 eV/atom
energy: -22.16 eV per atom
SG: P-3m1, No. 164

```
data_Eu2SO2
_chemical_formula_sum 'Eu2 S1 O2'
_cell_length_a 3.905
_cell_length_b 3.905
_cell_length_c 6.749
_cell_angle_alpha 90.00
_cell_angle_beta 90.00
_cell_angle_gamma 120.00
_symmetry_space_group_name_H-M 'P 1'
_symmetry_Int_Tables_number 1
loop_
_symmetry_equiv_pos_as_xyz
'x,y,z'
loop_
_atom_site_label
_atom_site_type_symbol
_atom_site_fract_x
_atom_site_fract_y
_atom_site_fract_z
Eu1 Eu 0.333 0.667 0.282
Eu2 Eu 0.667 0.333 0.718
S1 S 0.000 0.000 0.000
O1 O 0.333 0.667 0.630
O2 O 0.667 0.333 0.370
```


# 3
DFT (r2SCAN) results for an optimized crystal structure of Eu4Sb2O.

Computed properties:
E_form: -1.806 eV/atom
energy: -32.02 eV per atom
SG: I4/mmm, No. 139

```
data_Eu4Sb2O
_chemical_formula_sum 'Eu8 Sb4 O2'
_cell_length_a 4.884
_cell_length_b 4.884
_cell_length_c 16.964
_cell_angle_alpha 90.00
_cell_angle_beta 90.00
_cell_angle_gamma 90.00
_symmetry_space_group_name_H-M 'P 1'
_symmetry_Int_Tables_number 1
loop_
_symmetry_equiv_pos_as_xyz
'x,y,z'
loop_
_atom_site_label
_atom_site_type_symbol
_atom_site_fract_x
_atom_site_fract_y
_atom_site_fract_z
Eu1 Eu 0.000 0.000 0.168
Eu2 Eu 0.000 0.000 0.832
Eu3 Eu 0.000 0.500 0.000
Eu4 Eu 0.000 0.500 0.500
Eu5 Eu 0.500 0.000 0.000
Eu6 Eu 0.500 0.000 0.500
Eu7 Eu 0.500 0.500 0.332
Eu8 Eu 0.500 0.500 0.668
Sb1 Sb 0.000 0.000 0.362
Sb2 Sb 0.000 0.000 0.638
Sb3 Sb 0.500 0.500 0.138
Sb4 Sb 0.500 0.500 0.862
O1 O 0.000 0.000 0.000
O2 O 0.500 0.500 0.500
```


# 4
DFT (r2SCAN) results for an optimized crystal structure of Eu3SbO7.

Computed properties:
E_form: -2.732 eV/atom
energy: -19.38 eV per atom
SG: C222_1, No. 20

```
data_Eu3SbO7
_chemical_formula_sum 'Eu6 Sb2 O14'
_cell_length_a 6.543
_cell_length_b 6.543
_cell_length_c 7.645
_cell_angle_alpha 90.00
_cell_angle_beta 90.00
_cell_angle_gamma 110.45
_symmetry_space_group_name_H-M 'P 1'
_symmetry_Int_Tables_number 1
loop_
_symmetry_equiv_pos_as_xyz
'x,y,z'
loop_
_atom_site_label
_atom_site_type_symbol
_atom_site_fract_x
_atom_site_fract_y
_atom_site_fract_z
Eu1 Eu 0.000 0.000 0.000
Eu2 Eu 0.000 0.000 0.500
Eu3 Eu 0.029 0.498 0.751
Eu4 Eu 0.498 0.029 0.249
Eu5 Eu 0.502 0.971 0.749
Eu6 Eu 0.971 0.502 0.251
Sb1 Sb 0.500 0.500 0.000
Sb2 Sb 0.500 0.500 0.500
O1 O 0.128 0.872 0.250
O2 O 0.136 0.864 0.750
O3 O 0.182 0.428 0.473
O4 O 0.183 0.429 0.029
O5 O 0.428 0.182 0.527
O6 O 0.429 0.183 0.971
O7 O 0.439 0.561 0.750
O8 O 0.561 0.439 0.250
O9 O 0.571 0.817 0.471
O10 O 0.572 0.818 0.027
O11 O 0.817 0.571 0.529
O12 O 0.818 0.572 0.973
O13 O 0.864 0.136 0.250
O14 O 0.872 0.128 0.750
```


# 5
DFT (r2SCAN) results for an optimized crystal structure of EuSeO3.

Computed properties:
E_form: -2.014 eV/atom
energy: -16.16 eV per atom
SG: P2_1/m, No. 11

```
+++

Here it is >
6